## To do
Could you filter the data below: keep the lines with the word "unit"?

## Entries
- - -
VASP calculation (PBE) on an optimized crystal structure of Ac5CuSn2.

Structure (CIF):
```
data_Ac5CuSn2
_cell_length_a 7.209
_cell_length_b 7.216
_cell_length_c 7.221
_cell_angle_alpha 115.49
_cell_angle_beta 115.46
_cell_angle_gamma 97.97
_symmetry_space_group_name_H-M 'P 1'
_symmetry_Int_Tables_number 1
loop_
_symmetry_equiv_pos_as_xyz
'x,y,z'
loop_
_atom_site_label
_atom_site_fract_x
_atom_site_fract_y
_atom_site_fract_z
_atom_site_occupancy
Ac1 0.000 0.000 0.000 1
Ac2 0.001 0.500 0.499 1
Ac3 0.002 0.004 0.500 1
Ac4 0.499 0.998 0.499 1
Ac5 0.500 0.500 0.998 1
Cu1 0.448 0.443 0.497 1
Sn1 0.001 0.500 0.998 1
Sn2 0.502 0.003 0.001 1
```

Electronic total energy in eV per atom: -4.32
Formation enthalpy at 0 K in eV per atom: -0.2379
Magnetization in μB per formula unit: 0.00

=====

1.
First-principles (meta-GGA SCAN) data for a crystal of LaMoPb2 relaxed with PBEsol, as listed in Alexandria via LeMat-Bulk.

Unit cell a=3.2437 b=3.2437 c=10.3224 alpha=90.00 beta=90.00 gamma=110.70
Fractional positions:
La 0.0000 0.0000 0.0000
Mo 0.5000 0.5000 0.2050
Pb 0.0000 0.0000 0.4156
Pb 0.5000 0.5000 0.7118

Energy relative to the elements in meV/atom: 380
Total magnetization in μB per formula unit: 0.0
Calculated volume in Å³/atom: 25.40

=====

2.
First-principles (meta-GGA SCAN) data for a crystal of CdTe2Ir relaxed with PBEsol, as listed in Alexandria via LeMat-Bulk.

Unit cell a=11.8084 b=11.8084 c=11.8084 alpha=14.77 beta=14.77 gamma=14.77
Fractional positions:
Cd 0.0000 0.0000 0.0000
Te 0.4274 0.4274 0.4274
Te 0.5726 0.5726 0.5726
Ir 0.5000 0.5000 0.5000

Formation energy (no corrections) in kJ per mole of atoms: 35.8
Total magnetization in μB per formula unit: 0.0
Calculated volume in Å³/atom: 23.28

=====

3.
First-principles (meta-GGA SCAN) data for a crystal of La4Co3O10 relaxed with PBEsol, as listed in Alexandria via LeMat-Bulk.

Unit cell a=13.9674 b=13.9674 c=13.9674 alpha=164.43 beta=164.43 gamma=22.09
Fractional positions:
La 0.0675 0.0675 0.0000
La 0.1979 0.1979 0.0000
La 0.8021 0.8021 0.0000
La 0.9325 0.9325 0.0000
Co 0.3592 0.3592 0.0000
Co 0.5000 0.5000 0.0000
Co 0.6408 0.6408 0.0000
O 0.0000 0.5000 0.5000
O 0.1391 0.6391 0.5000
O 0.2851 0.2851 0.0000
O 0.3609 0.8609 0.5000
O 0.4286 0.4286 0.0000
O 0.5000 0.0000 0.5000
O 0.5714 0.5714 0.0000
O 0.6391 0.1391 0.5000
O 0.7149 0.7149 0.0000
O 0.8609 0.3609 0.5000

Formation energy (no corrections) in kJ per mole of atoms: -270.6
Total magnetization in μB per formula unit: 1.0
Calculated volume in Å³/atom: 11.55

=====

A plane-wave DFT calculation with PBE-GGA was carried out for a relaxed CrFe2W2 crystal.

a b c (Å): 6.8561 6.8561 2.8964
angles (deg): 90.00 90.00 90.00
Fractional positions:
Cr (0.0000, 0.0000, 0.0000)
Cr (0.5000, 0.5000, 0.0000)
Fe (0.1288, 0.3712, 0.0000)
Fe (0.3712, 0.8712, 0.0000)
Fe (0.6288, 0.1288, 0.0000)
Fe (0.8712, 0.6288, 0.0000)
W (0.1729, 0.6729, 0.5000)
W (0.3271, 0.1729, 0.5000)
W (0.6729, 0.8271, 0.5000)
W (0.8271, 0.3271, 0.5000)

Output
**VASP energy**: -10.169 eV/atom

A plane-wave DFT calculation with PBE-GGA was carried out for a relaxed LiY2PaAs4 crystal.

a b c (Å): 6.9573 4.1473 7.1032
angles (deg): 90.00 108.61 90.00
Fractional positions:
Li (0.0000, 0.0000, 0.0000)
Y (0.0000, 0.5000, 0.5000)
Y (0.5000, 0.0000, 0.5000)
Pa (0.5000, 0.5000, 0.0000)
As (0.2508, 0.0000, 0.7584)
As (0.2569, 0.5000, 0.2445)
As (0.7431, 0.5000, 0.7555)
As (0.7492, 0.0000, 0.2416)

Output
**VASP energy**: -6.494 eV/atom

A plane-wave DFT calculation with PBE-GGA was carried out for a relaxed CuGe2Pb2 crystal.

a b c (Å): 7.5517 7.5517 4.5199
angles (deg): 90.00 90.00 90.00
Fractional positions:
Cu (0.0000, 0.0000, 0.0000)
Cu (0.5000, 0.5000, 0.0000)
Ge (0.1169, 0.3831, 0.5000)
Ge (0.3831, 0.8831, 0.5000)
Ge (0.6169, 0.1169, 0.5000)
Ge (0.8831, 0.6169, 0.5000)
Pb (0.1801, 0.6801, 0.0000)
Pb (0.3199, 0.1801, 0.0000)
Pb (0.6801, 0.8199, 0.0000)
Pb (0.8199, 0.3199, 0.0000)

Output
**VASP energy**: -3.751 eV/atom
- - -

## Solution
Magnetization in μB per formula unit: 0.00
Total magnetization in μB per formula unit: 0.0
Total magnetization in μB per formula unit: 0.0
Total magnetization in μB per formula unit: 1.0